All the experiments and improvised apparatus work.

I will give details and then you can discover for yourself - a more fun way to learn because from your efforts come results that will stay with you.

As far as possible I will try not to say what happens - try it and see is the message.

Dimensions of apparatus given are not critical and you can also experiment with various materials to find which work best in your situation.

When an experiment works well on one occasion and not so well on another you may need to wipe and dry the apparatus.


The first experiment will be to make the only source of electricity you will need to repeat Gray`s investigations. First used by Hauksbee in 1706 and by Gray to make major discoveries - it is simply a tube and a cloth. This, on occasions, will generate very high voltages but at extremely low current.

Do not try any mains or battery powered high voltage supplies. They pose lethal dangers.

You will lose out on the fun of some original studies only changed in that we use modern materials. What Stephen Gray would have given for modern plastics!!!


Experiment 1 A Simple Electrostatic Generator

Stephen Gray used a cylindrical glass tube three feet five inches long, about one and a quarter inches diameter and one inch bore. This was made by a glassblower who blew, to give the hollow centre, and rolled the molten glass at the same to time to draw it out into a cylinder. The ends were cut off to create a tube.

You can use a plastic tube - mail tube - drainpipe - conduit - sink wastepipe, about 2 feet (60cm) long and about 1 inch (2cm) diameter.

Various pieces of fabric, to rub along the tube, can be tested to find the one which gives most charge.

Okay so now we have the static electricity generator.

Hold one end of the tube in one hand and the piece of fabric - the cloth - in the other hand. Grasp the cloth around the tube and either pull the tube through the cloth or wipe the cloth along the tube. Now hold the cloth well clear of the tube which is now charged with electricity. (So incidentally is the cloth - with opposite polarity charge).

Slowly pass the tube by , but not touching your ear and listen. Hear those noises? They are tiny sparks. Maybe you felt hairs stand up as the tube passed.

If the weather is very dry - after several days of hard frost in these parts - and you let your eyes adjust to the dark you may well see sparks when you rub the tube to charge it with electricity.



Gray used leaf brass (metal tinsel). You can make something similar by cutting up aluminium foil into tiny pieces. Try, also, small bits of dry paper - those little discs from a hole punch are great for this experiment.

Place a small pile of foil or paper bits on a flat, dry surface.

Slowly bring the charged tube close to the pile.


Gray found a down feather useful.

I tried a small fluffy feather from a pillow.

Charge the tube and bring it close to the feather.

METHOD C An Electroscope

`A Down Feather being tied to the end of a fine thread of Raw Silk, and the other end to a small Stick, which was fixed to a Foot, that it might stand upright on the Table`. Stephen Gray 1720

Fix one end of a wooden dowel about 9 inches long into a hole drilled in a piece of wood. Make sure that the dowel is a tight fit in the hole. For the first trial a piece of clay or plasticine type stuff can serve to hold the dowel upright on the wood rather than a hole in the base.

Tie one end of a piece of cotton to one end of the feather. Tie the opposite end to the top of the dowel so that the feather hangs a few inches above the base.

Charge the tube and bring it near to the feather.

Now you can detect charge. You can try different cloths and different tubes to decide your best generator.

Charge the tube and bring it near to the feather. Now, raise the tube to lift the feather until the cotton thread is vertical above the top of the stick or dowel. Move the tube about - Levitation!

EXPERIMENT 3 Affecting Smoke

Light an incense (Joss) stick. Bring the charged tube near to the column of smoke. Try a few inches out from and below the glowing tip.

(If you feel that these experiments are embarrassingly simple, bear in mind that this one is the basis of Electrostatic Precipitation - a major anti-pollution principle.)


You need a steady vertical stream of water. With a tap (faucet) this is easy to get. Otherwise, you need to knock a small hole in the side of a tin near the bottom, place the tin on a stand of some sort and fill the tin with water.

Bring the charged tube near to the column of falling water. Again, a basic principle employed in Electrostatic Precipitation and in Thunderstorms.


Tap the point of a flat-headed nail,(head =about 1/8 inch diameter (3mm)), into a piece of wood to give you a vertical metal stand for your water drop.

With care form a drop of water on the flat top. Try a glass tube to build up the drop OR put a thin stick horizontally into water - bring it to the nail and carefully tilt up the stick to let water collect into a drop on the nailhead. The more globular the shape of the drop the better.

Charge the tube. First move it slowly down above the drop and watch the drop.

Gray speaks of a small `mount of water rising up`.

Try the charged tube from underneath and to one side.

# Unrelated to this text: calculated molecules
=====
(1)
The following is a DFT calculation (ωB97M-V/def2-TZVPD) of 2 unconnected molecules or ions with the total composition C6H8O2.

Geometry as XYZ:
```
16
Properties=species:S:1:pos:R:3:forces:R:3:lowdin_charge:R:1
O -1.351352 1.353194 -0.455310 -4.405 2.904 -1.860 0.012
C -0.250434 0.660991 -0.449396 4.677 -0.149 0.324 -0.382
C -0.232778 -0.706562 -0.735615 -0.017 0.595 -0.541 -0.035
C 0.931232 -1.473871 -0.600833 -1.667 1.729 1.020 -0.083
C 1.991189 -0.824496 0.020318 3.211 -2.413 0.515 -0.127
C 2.073682 0.549911 0.171254 -1.140 1.270 1.409 -0.099
C 0.943478 1.375680 -0.030353 -0.478 -5.938 -1.432 0.029
H -1.541337 1.906094 -1.288106 0.659 -1.399 1.860 0.177
H -1.144939 -1.189797 -1.105326 0.246 0.346 0.183 0.118
H 0.681788 -2.493620 -0.800097 1.197 -0.800 0.123 0.096
H 2.915988 -1.441159 0.457746 -2.121 1.286 -1.326 0.142
H 2.890707 0.983163 0.769242 -0.071 -0.313 -0.766 0.107
H 0.942906 2.379249 0.110168 -0.104 2.822 0.552 0.073
O -3.158151 -0.281370 1.665318 1.246 0.445 -1.695 -0.100
H -3.098740 -1.130693 1.178208 -0.087 0.729 0.511 0.036
H -2.593237 0.333287 1.092783 -1.146 -1.113 1.124 0.038
```
Forces are in eV/Å.

Output
LUMO (eV): 0.497
HOMO energy (eV): -9.0
Multiplicity: 1
Net charge: 0

(2)
The following is a DFT calculation (ωB97M-V/def2-TZVPD) of a molecular structure, C6H8O2.

Geometry as XYZ:
```
16
Properties=species:S:1:pos:R:3:forces:R:3:lowdin_charge:R:1
C 0.253074 -0.596014 0.252640 2.702 -0.364 -2.377 -0.211
C 0.834433 -0.966223 1.610106 -0.816 0.429 0.265 -0.052
C -1.275676 0.698324 -1.648071 0.186 -0.299 -0.051 -0.025
C -0.510608 0.774433 -0.369015 -0.967 -0.687 2.992 -0.171
C 1.327169 0.210444 -0.564508 0.386 -1.996 0.414 -0.338
C -1.016986 0.705626 0.862880 -2.106 3.281 -1.232 -0.223
O 1.642566 -0.028446 -1.718052 -0.365 0.339 0.217 0.005
O -1.626591 1.019204 1.824692 1.302 -1.485 -0.225 0.180
H -0.090081 -1.463580 -0.310388 -0.207 0.091 0.109 0.148
H 1.945795 0.825499 0.110362 -0.304 0.356 -0.099 0.142
H 0.070833 -1.471565 2.200512 0.069 0.109 0.266 0.086
H 1.669429 -1.654656 1.483539 -0.002 0.086 -0.248 0.095
H 1.180674 -0.081616 2.143158 0.022 -0.045 0.143 0.091
H -0.584129 0.853695 -2.476868 -0.116 0.157 -0.057 0.083
H -1.752232 -0.272537 -1.796481 0.033 -0.051 0.061 0.093
H -2.067672 1.447411 -1.604505 0.183 0.080 -0.178 0.095
```
Forces are in eV/Å.

Output
LUMO (eV): 0.554
HOMO energy (eV): -8.7
Multiplicity: 1
Net charge: 0

(3)
The following is a DFT calculation (ωB97M-V/def2-TZVPD) of C6H8O2 in the gas phase.

Geometry as XYZ:
```
16
Properties=species:S:1:pos:R:3:forces:R:3:lowdin_charge:R:1
C -1.117415 1.673385 -1.213707 0.148 -0.062 0.114 -0.104
C -0.313714 1.402439 0.052771 2.645 0.316 -1.320 -0.168
C 0.824412 0.163270 -0.212131 -3.498 1.654 0.773 -0.375
O 1.612440 0.241782 -1.104657 0.641 0.085 -0.149 0.105
C 0.481255 -0.937194 0.635198 0.448 0.124 -0.563 -0.204
C 1.177054 -2.269669 0.550723 -0.164 -0.128 0.409 -0.019
C -0.670941 -0.669471 1.253689 -0.879 -2.135 1.782 -0.128
=====

Streams of tiny droplets sometimes fly off.

In the dark Gray saw a cone of light rise up as the drop changed shape.

( I tried a version of this experiment but used a Dirod electrostatic generator but hung the water drop from a brass sphere about half inch(1cm) diameter. Here are some results:-

The drop becomes a cone with a faint corona discharge glow at the point.


A spray of water droplets issues from the cone shaped drop.


No cone appeared and a single stream broke into pieces.

The implications of this experiment range from thunderstorms to ink-jet printers.

EXPERIMENT 5 A The Discovery of electrical conduction. (Effluvium gives way to virtue.)

You need a cork. One from a wine bottle fits into a piece of plastic conduit.

Rub the tube but not the cork.

According to the effluvium hypothesis - when you rub the tube you release effluvia (See William Gilbert - below). This is emitted from the rubbed section only and grabs, for example, the feather or the pieces of foil or paper, and attracts them. So, since you did not rub the cork it will not be emitting an effluvium and will not attract the feather,foil or paper.

Hold the projecting end of the cork near to the feather of your electroscope - to bits of paper or foil. Try this a few times.

You have just repeated the experiment reported by Stephen Gray in 1731. You have discovered that although, according to the effluvium hypothesis, the cork was not charged and therefore should not attract the feather , paper or foil your experiment shows electricity is detected from the cork.

EXPERIMENT 5 B Electrical conduction

Push a piece of stick, dowel if you have it, about 12 inches (30cm) long, into the cork still in place in the tube. Hold the tube so that the end of the stick projecting out of the cork is about a centimetre from the feather of your electroscope.

Rub the tube with the cloth and watch the feather.

EXPERIMENT 5 C Electrical conduction 2

Replace the length of dowel or stick with a piece of metal rod - a bicycle spoke, piece of metal rod, stiff piece of wire or something similar. Repeat Experiment 5B.

Next, place a pile of foil pieces on the table. Hold the far end of the rod close to the foil pieces and rub the rod.

Try it with a pile of paper bits.

Get a plastic pot, a styrene cup used in some drinks machines for example. Put the cup, upside down, on the table and pile the bits of foil on the base of the cup. Hold the far end of the rod into the bits and rub the tube. Try it with the paper bits.

If you can see copies of Gray`s papers you will feel his excitement of discovery. Papers in his day where not the dull, dry as dust, tedious stuff of today. They are interesting, you may feel quaint, remember this is in the 17th & 18th centuries, but never dull.

It is obvious that there is no effluvia emitted from either the cork or the wooden stick or the metal rod. He said that an electric virtue ( virtue meaning a power to produce an effect) acted from the charged tube through the cork to, and through, the rod. Read his papers as he tried fishing poles, the poker, the fire-tongs and coal shovel, a copper kettle and a silver pot. Boys at Charterhouse School were suspended on silk cords and they, too, passed the electric virtue to foil pieces, so did a cockerel and a sirloin of beef.

What you are observing is electrical conduction. A major discovery that electricity can be generated at one place and sent - conducted - to another, to be used.

EXPERIMENT 5 D Electrical conduction 3

Gray tried to make the experiment easier - rubbing the tube whilst trying to keep the rod near the feather or pile of foil or paper is irritating to say the least. What was needed was something flexible. He decided on pack thread. We will use a length of wire about 1 metre long.

Wrap one end of the wire tightly round the cork in the end of the plastic tube. The other end of the wire needs to be just above a pile of foil pieces. Gray supported his wire on silk threads tied to hang down from a roof beam. You can do something similar or devise a stand to support the wire.

Rub the tube and watch the far end of the wire. I did it by raising the charged tube and letting the far end touch the pile of foil pieces.

With his friends, Granvile Wheler and John Godfrey, Gray managed to send the effect - the electric virtue - through 886 feet of pack thread but then the silk supports broken under the weight.

EXPERIMENT 6 Two Classes of Materials

Gray and his friends reasoned that thin brass wire was better than silk because it was stronger to support the weight of the pack thread.

Change the supports of your wire to metal - thin wires for example - and repeat Experiment 5D.

The `electric virtue` disappears. If you restore your original set-up of Experiment 5D the effect returns.

Gray realised that some materials e.g. pack thread (wire in your experiment) conduct electricity. These `Non-Electrics` of the effluvia hypothesis we now call CONDUCTORS.

Other materials, such as silk threads and the plastic of our tube generator, do not conduct electricity. The `Electrics` of the effluvia hypothesis we now call INSULATORS.

These experiments laid the foundations of power generation at one site and by the means of conductors and insulators its electrical transmission to other sites to be used.

At these sites insulators and conductors are arranged to enable us to use electricity for lighting, heating, cooking, radio and television, running a car, using this computer and a whole range of uses from medical electronics to tooth brushes and pencil erasers - and for ink-jet printing a download of this page.


If you can work in near total darkness - try these:-

Watch closely as the cloth is rubbed along the tube.

Charge the tube - hold it in one hand and move a finger of your other hand near it and along it.

If it is very dry, a frosty night in Winter, stand in front of a mirror as you pull off your outer clothes. The faster, the better. (Remember Rev. Symmer?)

Dufay improved Gray`s set-up by replacing the silk threads. He simply placed a wire or a metal rod on an insulating block. You can place a length of metal bar, about 30cm long and 1cm diameter, on two styrene cups. Charge the tube and wipe on the bar. Do this several times. Keep a watch on the ends of the bar for glows or streaks of light.

Bring the knuckle of a finger near one end of the bar and watch for a spark - you will get a slight shock.

Even in daylight you can see the light of one of those small neon bulbs. Hold one wire in your hand and move the other wire along the charged tube.

Push one wire into cork in the end of the tube. Grasp the cloth round the tube and pull the cloth towards you and the neon works - a version of our conduction experiments.

If you touch the other wire on metal connected to the earth the glow is brighter.

You could try the charged metal insulated on the cups and touch one end of the neon to it.

von Kleist noticed a glow on the end of a metal rod in a glass jar and carried it from room to room, probably the first person to discover a portable electric source of light.

In 1735 Gray wrote, `…to increase the Force of this Electrick Fire, which by several of these Experiments seems to be of the same Nature with that of Thunder and Lightning.`

It is not too great a claim to say that in these few experiments you have experienced the discovery of the fundamental basis for modern electrical technology. They inspired all the Electricians who came after them and of course gave us so much in our time.


Electrically charging your plastic tube generator by rubbing it with a woollen cloth is called Frictional Electrification - i.e. Tribo-electrification.

Many text books regurgitate information to the effect that dissimilar materials are necessary, plastic and wool in our case, to generate static electricity. This is not true.


Shaw worked at Nottingham College and found identical materials, when rubbed asymmetrically, will produce electrically charged surfaces. This simply means that if two identical pieces of plastic are rubbed so that a small area of one rubs on a larger area of the other the results are the same as charging a plastic tube with a woollen cloth.

To try Shaw`s experiments you need a sensitive electrometer. This is something you can aim for in due time.

I repeated Shaw`s experiments using modern materials, apart from those he used in dust electrification.

For now, I will list his papers if anyone wishes to read up on the electrical charging of like materials and, maybe, try them.

Tribo-Electricity and Friction by P E Shaw & C S Jex Proceedings of the Royal Society, June 1926
The Electrical Charges from Like Solids by P E Shaw
Nature vol. 118, No. 2975, pages 659-660, November 1926
Electrical Separation Between Identical Solid Surfaces by P E Shaw
Proceedings of the Physical Society, vol. 39, pages 449-452, 1927
Tribo-Electricity and Friction. Electricity due to Air-Blown Particles by P E Shaw
Proceedings of the Royal Society A, vol. 122, pages 49-58, 1928



William Gilbert (1540-1603)

In his book, De Magnete, William Gilbert brought together existing knowledge and results from his own studies of magnetism and rubbed amber. He called the attractive properties of rubbed amber electricity.

To concentrate on magnetism he separated off electrical phenomena.

Earlier investigators had noted that lodestone will attract lodestone and iron. Rubbed amber will attract a range of materials. Furthermore, many other substances, when rubbed, exhibited the amber effect.

Lodestone needed no rubbing in order to attract.

Magnetic attraction could act through a barrier. Electrical attraction could not.

Several mechanisms were proposed for amber`s attractive power. Of interest to Gilbert was the idea that something was emitted (an effluvium) when amber was rubbed.

He refined earlier ideas into that of an effluvium - an invisible something which reached out and stuck to material. A quaint analogy with the horns of a snail which extend and, when the touch something, rapidly withdraw. So does the effluvium reach out - withdraw - and bring dust and bits of paper back to the rubbed surface of the amber.

Or as small sticks placed on water - when close draw to each other. Likewise do the effluvia of rubbed electrics cause mutual attraction.

Gilbert denied repulsion as an electrical effect.

He called things which exhibit electricity - Electrics. He found many such materials and all had to be rubbed to attract.

Materials which, when rubbed, do not electrically attract - he called anelectrics or Non-Electrics. Metals, for example, he regarded as non-electrics because they could not be electrically charged by rubbing.

Among Electrics, soft materials needed a light rubbing to release the effluvium. Hard materials, such as quartz, needed hard rubbing and were difficult to charge.

Investigators following on from Gilbert began a long list of Electrics.


Stephen Gray (1666-15th February 1736)

Stephen Gray was born in Canterbury, Kent, England and baptised on December 26th 1666. His family were carpenters and dyers and, like most working people, were keen on education. In his writing, Gray has the confidence of a self-taught man. His friendship with John Flamsteed (of Denby, Derbyshire - the first Astronomer Royal) most likely fired his interests in astronomy.

In a letter, of May 12th 1697, Gray informed readers of the Philosophical Transactions of the Royal Society of his use of water lenses and described a `Natural reflecting Microscope`.

More papers followed on:- Microscopy, Concave specula, An accurate way to read height of mercury in a barometer, Haloes and the Sun, Fossils in Reculver Cliff, Sunspots, Solar Eclipse May 12th 1706.

His electrical interests first appear in a letter of 1708 to Hans Sloane, in which he described the use of down feathers to detect electricity. He is obviously fascinated by lights produced by rubbing a glass tube to charge it and realises electricity and the lights are related. The idea of an effluvium released from the tube is giving way in his thoughts to ideas of a virtue, something akin to gravitational attraction and electrical conduction.

At a meeting in Somerset House, on April 7th, 1718, Stephen Gray was nominated by the Prince of Wales (later George II) to be admitted as a Pensioner to the Charterhouse in London.

Stephen Gray is nominated and admitted to London Charterhouse as a Pensioner.

Whilst a Pensioner of the Charterhouse he carried out, in his sixties, his experiments on electricity.

Unlike the dry as dust reading of most modern papers, Gray`s are full of enthusiasm.

Philosophical Transactions of the Royal Society.

Vol. 31, pages 105, 107, 1720-21

Vol. 37, pages 18-44, 1731-2

Vol. 37, pages 227-230, 1731-2

Vol. 37, pages 285-291, 1731-2

Vol. 37, pages 397-407, 1731-2

Vol. 39, pages 17-24, 1735-6

Vol. 39, pages 167-170, 1735-6

Vol. 39, pages 220, 1735-6

Vol. 39, pages 400-403, 1735-6